Data =
<<<
(1)
A relaxed Al2S3 crystal, computed with PBE-GGA.

- Formation energy from the elements: -0.812 eV per atom
- Total moment: 0.976 Bohr magnetons per cell

Unit cell a=7.7386 b=7.3492 c=20.9402 alpha=81.49 beta=100.10 gamma=129.25
Last column: nearest neighbours and their distance in Å.
Positions (direct):
Al: 0.4341 0.3320 0.8069  3 S 2.28-2.34
Al: 0.3615 0.0305 0.2559  3 S 2.19-2.43
Al: 0.6853 0.6507 0.6408  2 S 2.22-2.38
Al: 0.0261 0.7191 0.8917  4 S 2.23-2.35
Al: 0.5182 0.8388 0.5715  3 S 2.28-2.47
Al: 0.4798 0.7991 0.8125  2 S 2.20-2.38
Al: 0.3938 0.5140 0.4833  4 S 2.19-2.36
Al: 0.6771 0.0129 0.3743  3 S 2.24-2.29
Al: 0.2387 0.3927 0.8787  2 S 2.28-2.31
Al: 0.0883 0.4432 0.9812  3 S 2.15-2.27
Al: 0.3132 0.9979 0.6748  4 S 2.19-2.40
Al: 0.5218 0.6307 0.3211  2 S 2.31-2.40
S: 0.9966 0.3703 0.3476  1 S 2.12, 1 Al 2.27
S: 0.3782 0.0048 0.3622  2 Al 2.19-2.24
S: 0.7493 0.7118 0.8352  2 Al 2.23-2.34
S: 0.0659 0.7062 0.0016  2 Al 2.15-2.26
S: 0.5829 0.9682 0.7162  2 Al 2.20-2.24
S: 0.2337 0.3155 0.3855  1 S 2.12, 1 Al 2.36
S: 0.3191 0.3684 0.9882  2 Al 2.15-2.28
S: 0.1714 0.5140 0.5348  2 Al 2.19-2.28
S: 0.9766 0.6804 0.6944  2 Al 2.19-2.22
S: 0.3728 0.9934 0.8556  3 Al 2.29-2.38
S: 0.7170 0.9007 0.4801  3 Al 2.29-2.47
S: 0.6079 0.4173 0.5454  1 S 2.11, 1 Al 2.32
S: 0.0729 0.7844 0.1840  1 S 2.10, 1 Al 2.25
S: 0.5897 0.4546 0.2575  1 S 2.11, 1 Al 2.31
S: 0.3751 0.3331 0.6963  3 Al 2.28-2.38
S: 0.9135 0.3442 0.8787  3 Al 2.27-2.35
S: 0.3724 0.0505 0.5629  1 S 2.11
S: 0.7673 0.7209 0.1852  2 S 2.10-2.11

(2)
A relaxed Al2S3 crystal, computed with PBE-GGA.

- Formation energy from the elements: -1.222 eV per atom
- Total moment: 3.420 Bohr magnetons per cell

Unit cell a=7.0906 b=7.0906 c=52.0479 alpha=90.00 beta=90.00 gamma=120.00
Last column: nearest neighbours and their distance in Å.
Positions (direct):
Al: 0.4960 0.9919 0.9845  6 S 2.38-2.52
Al: 0.3333 0.6667 0.9305  6 S 2.42-2.43
Al: 0.0081 0.5040 0.9845  6 S 2.38-2.52
Al: 0.4960 0.5040 0.9845  6 S 2.38-2.52
Al: 0.1617 0.3234 0.8755  6 S 2.39-2.53
Al: 0.0000 0.0000 0.8226  6 S 2.36-2.54
Al: 0.6766 0.8383 0.8755  6 S 2.39-2.53
Al: 0.8182 0.6363 0.7633  6 S 2.33-2.58
Al: 0.1617 0.8383 0.8755  6 S 2.39-2.53
Al: 0.6667 0.3333 0.7160  3 S 2.25
Al: 0.3637 0.1818 0.7633  6 S 2.33-2.58
Al: 0.8182 0.1818 0.7633  6 S 2.33-2.58
Al: 0.4962 0.9924 0.6549  6 S 2.31-2.53
Al: 0.3333 0.6667 0.5976  6 S 2.39-2.46
Al: 0.0076 0.5038 0.6549  6 S 2.31-2.53
Al: 0.3333 0.6667 0.8049  4 S 2.28-2.33
Al: 0.4962 0.5038 0.6549  6 S 2.31-2.53
Al: 0.1667 0.3334 0.5417  6 S 2.43-2.44
Al: 0.0000 0.0000 0.6111  4 S 2.28-2.30
Al: 0.0000 0.0000 0.4861  6 S 2.44
Al: 0.0000 0.0000 0.6962  4 S 2.20-2.34
Al: 0.6666 0.8333 0.5417  6 S 2.43-2.44
Al: 0.8333 0.6667 0.4306  6 S 2.44
Al: 0.1667 0.8333 0.5417  6 S 2.43-2.44
Al: 0.6667 0.3333 0.5842  4 S 2.26-2.31
Al: 0.6667 0.3333 0.5000  4 S 2.29-2.30
Al: 0.6667 0.3333 0.3750  6 S 2.43-2.44
Al: 0.3333 0.1667 0.4306  6 S 2.44
Al: 0.5002 0.0004 0.3192  6 S 2.41-2.44
Al: 0.8333 0.1667 0.4306  6 S 2.44
Al: 0.3333 0.6667 0.2624  6 S 2.37-2.50
Al: 0.3333 0.6667 0.4722  4 S 2.29-2.30
Al: 0.3333 0.6667 0.3889  4 S 2.29
Al: 0.9996 0.4998 0.3192  6 S 2.41-2.44
Al: 0.5002 0.4998 0.3192  6 S 2.41-2.44
Al: 0.1576 0.3153 0.2047  4 S 2.28-2.51
Al: 0.0000 0.0000 0.3611  4 S 2.29-2.30
Al: 0.0000 0.0000 0.2777  4 S 2.20-2.31
Al: 0.0000 0.0000 0.1550  6 S 2.44-2.46
Al: 0.6847 0.8424 0.2047  4 S 2.28-2.51
Al: 0.8183 0.6367 0.0956  6 S 2.34-2.58
Al: 0.1576 0.8424 0.2047  4 S 2.28-2.51
Al: 0.6667 0.3333 0.2486  4 S 2.28-2.37
Al: 0.3633 0.1817 0.0956  6 S 2.34-2.58
Al: 0.6667 0.3333 0.0446  6 S 2.37-2.51
Al: 0.8183 0.1817 0.0956  6 S 2.34-2.58
Al: 0.3333 0.6667 0.1372  4 S 2.28-2.43
Al: 0.0000 0.0000 0.0284  4 S 2.30-2.34
S: 0.1760 0.3520 0.9587  3 Al 2.38-2.43
S: 0.0000 0.0000 0.9012  3 Al 2.39
S: 0.6480 0.8240 0.9587  3 Al 2.38-2.43
S: 0.1760 0.8240 0.9587  3 Al 2.38-2.43
S: 0.8429 0.6858 0.8486  3 Al 2.36-2.41
S: 0.4863 0.5137 0.9013  3 Al 2.41-2.42
S: 0.6667 0.3333 0.7902  3 Al 2.33
>>>

Exercise =
Transcribe everything further up word for word.

Result =
(1)
A relaxed Al2S3 crystal, computed with PBE-GGA.

- Formation energy from the elements: -0.812 eV per atom
- Total moment: 0.976 Bohr magnetons per cell

Unit cell a=7.7386 b=7.3492 c=20.9402 alpha=81.49 beta=100.10 gamma=129.25
Last column: nearest neighbours and their distance in Å.
Positions (direct):
Al: 0.4341 0.3320 0.8069  3 S 2.28-2.34
Al: 0.3615 0.0305 0.2559  3 S 2.19-2.43
Al: 0.6853 0.6507 0.6408  2 S 2.22-2.38
Al: 0.0261 0.7191 0.8917  4 S 2.23-2.35
Al: 0.5182 0.8388 0.5715  3 S 2.28-2.47
Al: 0.4798 0.7991 0.8125  2 S 2.20-2.38
Al: 0.3938 0.5140 0.4833  4 S 2.19-2.36
Al: 0.6771 0.0129 0.3743  3 S 2.24-2.29
Al: 0.2387 0.3927 0.8787  2 S 2.28-2.31
Al: 0.0883 0.4432 0.9812  3 S 2.15-2.27
Al: 0.3132 0.9979 0.6748  4 S 2.19-2.40
Al: 0.5218 0.6307 0.3211  2 S 2.31-2.40
S: 0.9966 0.3703 0.3476  1 S 2.12, 1 Al 2.27
S: 0.3782 0.0048 0.3622  2 Al 2.19-2.24
S: 0.7493 0.7118 0.8352  2 Al 2.23-2.34
S: 0.0659 0.7062 0.0016  2 Al 2.15-2.26
S: 0.5829 0.9682 0.7162  2 Al 2.20-2.24
S: 0.2337 0.3155 0.3855  1 S 2.12, 1 Al 2.36
S: 0.3191 0.3684 0.9882  2 Al 2.15-2.28
S: 0.1714 0.5140 0.5348  2 Al 2.19-2.28
S: 0.9766 0.6804 0.6944  2 Al 2.19-2.22
S: 0.3728 0.9934 0.8556  3 Al 2.29-2.38
S: 0.7170 0.9007 0.4801  3 Al 2.29-2.47
S: 0.6079 0.4173 0.5454  1 S 2.11, 1 Al 2.32
S: 0.0729 0.7844 0.1840  1 S 2.10, 1 Al 2.25
S: 0.5897 0.4546 0.2575  1 S 2.11, 1 Al 2.31
S: 0.3751 0.3331 0.6963  3 Al 2.28-2.38
S: 0.9135 0.3442 0.8787  3 Al 2.27-2.35
S: 0.3724 0.0505 0.5629  1 S 2.11
S: 0.7673 0.7209 0.1852  2 S 2.10-2.11

(2)
A relaxed Al2S3 crystal, computed with PBE-GGA.

- Formation energy from the elements: -1.222 eV per atom
- Total moment: 3.420 Bohr magnetons per cell

Unit cell a=7.0906 b=7.0906 c=52.0479 alpha=90.00 beta=90.00 gamma=120.00
Last column: nearest neighbours and their distance in Å.
Positions (direct):
Al: 0.4960 0.9919 0.9845  6 S 2.38-2.52
Al: 0.3333 0.6667 0.9305  6 S 2.42-2.43
Al: 0.0081 0.5040 0.9845  6 S 2.38-2.52
Al: 0.4960 0.5040 0.9845  6 S 2.38-2.52
Al: 0.1617 0.3234 0.8755  6 S 2.39-2.53
Al: 0.0000 0.0000 0.8226  6 S 2.36-2.54
Al: 0.6766 0.8383 0.8755  6 S 2.39-2.53
Al: 0.8182 0.6363 0.7633  6 S 2.33-2.58
Al: 0.1617 0.8383 0.8755  6 S 2.39-2.53
Al: 0.6667 0.3333 0.7160  3 S 2.25
Al: 0.3637 0.1818 0.7633  6 S 2.33-2.58
Al: 0.8182 0.1818 0.7633  6 S 2.33-2.58
Al: 0.4962 0.9924 0.6549  6 S 2.31-2.53
Al: 0.3333 0.6667 0.5976  6 S 2.39-2.46
Al: 0.0076 0.5038 0.6549  6 S 2.31-2.53
Al: 0.3333 0.6667 0.8049  4 S 2.28-2.33
Al: 0.4962 0.5038 0.6549  6 S 2.31-2.53
Al: 0.1667 0.3334 0.5417  6 S 2.43-2.44
Al: 0.0000 0.0000 0.6111  4 S 2.28-2.30
Al: 0.0000 0.0000 0.4861  6 S 2.44
Al: 0.0000 0.0000 0.6962  4 S 2.20-2.34
Al: 0.6666 0.8333 0.5417  6 S 2.43-2.44
Al: 0.8333 0.6667 0.4306  6 S 2.44
Al: 0.1667 0.8333 0.5417  6 S 2.43-2.44
Al: 0.6667 0.3333 0.5842  4 S 2.26-2.31
Al: 0.6667 0.3333 0.5000  4 S 2.29-2.30
Al: 0.6667 0.3333 0.3750  6 S 2.43-2.44
Al: 0.3333 0.1667 0.4306  6 S 2.44
Al: 0.5002 0.0004 0.3192  6 S 2.41-2.44
Al: 0.8333 0.1667 0.4306  6 S 2.44
Al: 0.3333 0.6667 0.2624  6 S 2.37-2.50
Al: 0.3333 0.6667 0.4722  4 S 2.29-2.30
Al: 0.3333 0.6667 0.3889  4 S 2.29
Al: 0.9996 0.4998 0.3192  6 S 2.41-2.44
Al: 0.5002 0.4998 0.3192  6 S 2.41-2.44
Al: 0.1576 0.3153 0.2047  4 S 2.28-2.51
Al: 0.0000 0.0000 0.3611  4 S 2.29-2.30
Al: 0.0000 0.0000 0.2777  4 S 2.20-2.31
Al: 0.0000 0.0000 0.1550  6 S 2.44-2.46
Al: 0.6847 0.8424 0.2047  4 S 2.28-2.51
Al: 0.8183 0.6367 0.0956  6 S 2.34-2.58
Al: 0.1576 0.8424 0.2047  4 S 2.28-2.51
Al: 0.6667 0.3333 0.2486  4 S 2.28-2.37
Al: 0.3633 0.1817 0.0956  6 S 2.34-2.58
Al: 0.6667 0.3333 0.0446  6 S 2.37-2.51
Al: 0.8183 0.1817 0.0956  6 S 2.34-2.58
Al: 0.3333 0.6667 0.1372  4 S 2.28-2.43
Al: 0.0000 0.0000 0.0284  4 S 2.30-2.34
S: 0.1760 0.3520 0.9587  3 Al 2.38-2.43
S: 0.0000 0.0000 0.9012  3 Al 2.39
S: 0.6480 0.8240 0.9587  3 Al 2.38-2.43
S: 0.1760 0.8240 0.9587  3 Al 2.38-2.43
S: 0.8429 0.6858 0.8486  3 Al 2.36-2.41
S: 0.4863 0.5137 0.9013  3 Al 2.41-2.42
S: 0.6667 0.3333 0.7902  3 Al 2.33